**Input**
<<<
{"formula": "C28H13Br4Cl2N2O5S3Ta", "method": "ωB97M-V with the def2-TZVPD basis set", "elements": ["H", "C", "H", "C", "O", "N", "O", "H", "C", "C", "S", "C", "C", "C", "C", "C", "C", "H", "S", "N", "C", "H", "H", "C", "C", "S", "O", "Br", "C", "H", "C", "C", "C", "C", "C", "C", "H", "H", "Br", "Cl", "H", "H", "C", "Br", "Cl", "C", "C", "C", "Ta", "Br", "O", "C", "C", "C", "H", "C", "O", "H"], "coordinates": [[-4.311929, 2.955063, -0.639661], [-3.802706, 1.585438, -3.721777], [4.556246, -0.596941, -2.920833], [2.514780, -0.215392, 2.858672], [-2.389038, 1.197137, 1.347180], [-0.673201, 0.442333, -0.382270], [2.059900, -1.196948, 2.065188], [-3.910531, -2.328342, -1.659794], [1.888444, 1.003303, 2.616951], [3.886314, 0.805828, 4.525012], [-1.657347, 1.657583, 0.209167], [3.265348, 2.033858, 4.275305], [2.749376, -4.356338, -1.086235], [-2.046947, 0.988559, -2.240557], [2.258323, 2.139587, 3.312064], [-3.595081, -1.374118, 2.058770], [3.167168, 2.223986, -1.668220], [1.595340, 2.182235, -0.191013], [-0.887887, -1.863046, 2.190813], [2.198113, 0.280267, -0.704775], [1.832432, -3.776686, -0.263037], [4.715465, 1.875565, -3.116818], [-4.271169, 1.542904, -4.696096], [-3.842529, -2.060108, -0.614778], [-2.452957, -1.798463, 1.373469], [3.653005, -3.200263, -1.967325], [-0.033112, -0.312483, -2.452655], [5.241241, 0.664703, 5.823593], [3.511191, -0.332681, 3.807422], [-5.909101, -1.546486, -0.398552], [-4.826570, -1.286126, 1.431428], [2.997606, -0.501577, -1.454674], [4.003249, 1.425872, -2.437399], [-2.660663, 1.711377, -1.239849], [-4.949467, -1.624593, 0.094066], [3.920852, 0.050403, -2.332349], [-5.678529, -0.939725, 1.998861], [-5.348639, 2.820243, -2.895955], [3.778927, 3.572697, 5.228754], [-3.490594, -0.913806, 3.719305], [-2.118259, 0.344698, -4.282361], [1.175258, -4.348448, 0.377156], [2.275980, 1.611390, -0.811354], [4.293068, -2.021500, 4.050713], [-1.239547, -2.671868, -0.868675], [-2.625223, -2.145331, 0.036946], [2.779153, -1.919749, -1.228967], [-0.811413, 0.305986, -1.761915], [0.699201, -0.795681, 0.710114], [1.379140, 3.739954, 2.886593], [-0.918424, 2.883200, 0.289105], [-2.606175, 0.916180, -3.504122], [-3.845493, 2.390815, -1.435570], [1.829350, -2.350679, -0.341573], [3.199537, 3.302023, -1.724196], [-4.414528, 2.310238, -2.700743], [0.945258, 0.921780, 1.677964], [2.947789, -5.407842, -1.220526]], "forces_ev_per_a": [[0.003, -0.003, 0.007], [0.002, -0.004, -0.010], [0.000, 0.000, -0.001], [0.020, -0.027, 0.034], [0.037, 0.071, 0.017], [0.031, -0.124, 0.003], [-0.081, 0.022, 0.051], [-0.003, -0.005, 0.001], [-0.019, -0.032, -0.035], [-0.005, 0.003, -0.003], [0.063, 0.088, -0.002], [-0.006, 0.000, -0.004], [0.030, 0.006, 0.021], [-0.007, -0.040, -0.016], [0.015, 0.001, 0.014], [-0.001, -0.047, 0.021], [0.001, 0.005, -0.004], [0.000, -0.005, 0.004], [0.022, -0.045, -0.108], [-0.059, -0.014, 0.022], [-0.029, -0.010, -0.024], [0.000, 0.000, -0.001], [-0.002, 0.004, 0.000], [0.015, 0.001, 0.006], [-0.023, 0.020, 0.072], [-0.026, -0.003, -0.016], [-0.048, -0.073, -0.019], [-0.001, 0.002, 0.000], [0.004, -0.029, 0.009], [-0.004, -0.004, 0.005], [0.011, -0.023, -0.010], [0.000, -0.014, 0.011], [0.001, -0.004, 0.007], [-0.024, -0.008, -0.006], [0.003, 0.017, 0.013], [-0.005, 0.005, 0.002], [-0.001, 0.002, -0.001], [0.000, -0.002, -0.005], [0.003, 0.000, 0.004], [-0.003, -0.016, -0.009], [-0.001, -0.003, 0.002], [-0.002, 0.002, 0.000], [-0.007, -0.011, -0.001], [-0.001, 0.008, 0.000], [0.014, -0.048, -0.042], [-0.032, 0.003, -0.048], [0.020, 0.010, -0.028], [0.044, 0.064, 0.047], [0.088, 0.101, -0.055], [-0.004, 0.005, -0.005], [-0.049, -0.028, 0.014], [0.003, 0.006, 0.008], [0.012, 0.004, -0.016], [-0.047, 0.011, 0.018], [0.003, 0.000, -0.004], [-0.004, 0.006, 0.010], [0.048, 0.158, 0.043], [0.005, 0.000, 0.005]], "lowdin_charge": [0.13, -0.05, 0.11, -0.36, -0.27, -0.23, -0.26, 0.11, -0.37, -0.74, 0.65, -0.74, -0.40, -0.14, -0.64, -0.70, -0.03, 0.10, 0.64, 0.00, -0.22, 0.11, 0.11, -0.10, -0.69, 1.05, 0.06, 0.73, -0.65, 0.11, -0.10, -0.27, -0.04, -0.21, -0.07, 0.00, 0.11, 0.11, 0.73, 0.71, 0.13, 0.10, -0.08, 0.80, 0.80, -0.64, -0.53, -0.53, 1.65, 0.82, -0.29, 0.01, -0.02, -0.35, 0.11, -0.06, -0.27, 0.07], "lumo_ha": -0.042, "e_homo_ev": -8.372, "e_above_lowest_kcal_mol": 0.0}
>>>
**Assignment**
What is needed: quote everything further above verbatim.
**Outcome**
{"formula": "C28H13Br4Cl2N2O5S3Ta", "method": "ωB97M-V with the def2-TZVPD basis set", "elements": ["H", "C", "H", "C", "O", "N", "O", "H", "C", "C", "S", "C", "C", "C", "C", "C", "C", "H", "S", "N", "C", "H", "H", "C", "C", "S", "O", "Br", "C", "H", "C", "C", "C", "C", "C", "C", "H", "H", "Br", "Cl", "H", "H", "C", "Br", "Cl", "C", "C", "C", "Ta", "Br", "O", "C", "C", "C", "H", "C", "O", "H"], "coordinates": [[-4.311929, 2.955063, -0.639661], [-3.802706, 1.585438, -3.721777], [4.556246, -0.596941, -2.920833], [2.514780, -0.215392, 2.858672], [-2.389038, 1.197137, 1.347180], [-0.673201, 0.442333, -0.382270], [2.059900, -1.196948, 2.065188], [-3.910531, -2.328342, -1.659794], [1.888444, 1.003303, 2.616951], [3.886314, 0.805828, 4.525012], [-1.657347, 1.657583, 0.209167], [3.265348, 2.033858, 4.275305], [2.749376, -4.356338, -1.086235], [-2.046947, 0.988559, -2.240557], [2.258323, 2.139587, 3.312064], [-3.595081, -1.374118, 2.058770], [3.167168, 2.223986, -1.668220], [1.595340, 2.182235, -0.191013], [-0.887887, -1.863046, 2.190813], [2.198113, 0.280267, -0.704775], [1.832432, -3.776686, -0.263037], [4.715465, 1.875565, -3.116818], [-4.271169, 1.542904, -4.696096], [-3.842529, -2.060108, -0.614778], [-2.452957, -1.798463, 1.373469], [3.653005, -3.200263, -1.967325], [-0.033112, -0.312483, -2.452655], [5.241241, 0.664703, 5.823593], [3.511191, -0.332681, 3.807422], [-5.909101, -1.546486, -0.398552], [-4.826570, -1.286126, 1.431428], [2.997606, -0.501577, -1.454674], [4.003249, 1.425872, -2.437399], [-2.660663, 1.711377, -1.239849], [-4.949467, -1.624593, 0.094066], [3.920852, 0.050403, -2.332349], [-5.678529, -0.939725, 1.998861], [-5.348639, 2.820243, -2.895955], [3.778927, 3.572697, 5.228754], [-3.490594, -0.913806, 3.719305], [-2.118259, 0.344698, -4.282361], [1.175258, -4.348448, 0.377156], [2.275980, 1.611390, -0.811354], [4.293068, -2.021500, 4.050713], [-1.239547, -2.671868, -0.868675], [-2.625223, -2.145331, 0.036946], [2.779153, -1.919749, -1.228967], [-0.811413, 0.305986, -1.761915], [0.699201, -0.795681, 0.710114], [1.379140, 3.739954, 2.886593], [-0.918424, 2.883200, 0.289105], [-2.606175, 0.916180, -3.504122], [-3.845493, 2.390815, -1.435570], [1.829350, -2.350679, -0.341573], [3.199537, 3.302023, -1.724196], [-4.414528, 2.310238, -2.700743], [0.945258, 0.921780, 1.677964], [2.947789, -5.407842, -1.220526]], "forces_ev_per_a": [[0.003, -0.003, 0.007], [0.002, -0.004, -0.010], [0.000, 0.000, -0.001], [0.020, -0.027, 0.034], [0.037, 0.071, 0.017], [0.031, -0.124, 0.003], [-0.081, 0.022, 0.051], [-0.003, -0.005, 0.001], [-0.019, -0.032, -0.035], [-0.005, 0.003, -0.003], [0.063, 0.088, -0.002], [-0.006, 0.000, -0.004], [0.030, 0.006, 0.021], [-0.007, -0.040, -0.016], [0.015, 0.001, 0.014], [-0.001, -0.047, 0.021], [0.001, 0.005, -0.004], [0.000, -0.005, 0.004], [0.022, -0.045, -0.108], [-0.059, -0.014, 0.022], [-0.029, -0.010, -0.024], [0.000, 0.000, -0.001], [-0.002, 0.004, 0.000], [0.015, 0.001, 0.006], [-0.023, 0.020, 0.072], [-0.026, -0.003, -0.016], [-0.048, -0.073, -0.019], [-0.001, 0.002, 0.000], [0.004, -0.029, 0.009], [-0.004, -0.004, 0.005], [0.011, -0.023, -0.010], [0.000, -0.014, 0.011], [0.001, -0.004, 0.007], [-0.024, -0.008, -0.006], [0.003, 0.017, 0.013], [-0.005, 0.005, 0.002], [-0.001, 0.002, -0.001], [0.000, -0.002, -0.005], [0.003, 0.000, 0.004], [-0.003, -0.016, -0.009], [-0.001, -0.003, 0.002], [-0.002, 0.002, 0.000], [-0.007, -0.011, -0.001], [-0.001, 0.008, 0.000], [0.014, -0.048, -0.042], [-0.032, 0.003, -0.048], [0.020, 0.010, -0.028], [0.044, 0.064, 0.047], [0.088, 0.101, -0.055], [-0.004, 0.005, -0.005], [-0.049, -0.028, 0.014], [0.003, 0.006, 0.008], [0.012, 0.004, -0.016], [-0.047, 0.011, 0.018], [0.003, 0.000, -0.004], [-0.004, 0.006, 0.010], [0.048, 0.158, 0.043], [0.005, 0.000, 0.005]], "lowdin_charge": [0.13, -0.05, 0.11, -0.36, -0.27, -0.23, -0.26, 0.11, -0.37, -0.74, 0.65, -0.74, -0.40, -0.14, -0.64, -0.70, -0.03, 0.10, 0.64, 0.00, -0.22, 0.11, 0.11, -0.10, -0.69, 1.05, 0.06, 0.73, -0.65, 0.11, -0.10, -0.27, -0.04, -0.21, -0.07, 0.00, 0.11, 0.11, 0.73, 0.71, 0.13, 0.10, -0.08, 0.80, 0.80, -0.64, -0.53, -0.53, 1.65, 0.82, -0.29, 0.01, -0.02, -0.35, 0.11, -0.06, -0.27, 0.07], "lumo_ha": -0.042, "e_homo_ev": -8.372, "e_above_lowest_kcal_mol": 0.0}